== File ==
For CsNpMoO6, a structure optimized by DFT (PBE+U) gives the simulated X-ray diffraction stick pattern in this record (Cu Kα (λ = 1.5418 Å)).
No peak broadening, texture or thermal motion is included.

Cell and atoms:
```
CsNpMoO6
1.0
7.6428 0.0000 0.0000
0.0000 8.7620 0.0000
-2.5725 0.0000 10.3670
Cs Np Mo O
4 4 4 24
direct
0.0431 0.2367 0.3603
0.0431 0.2633 0.8603
0.9569 0.7367 0.1397
0.9569 0.7633 0.6397
0.4872 0.0128 0.1755
0.4872 0.4872 0.6755
0.5128 0.5128 0.3245
0.5128 0.9872 0.8245
0.3872 0.6480 0.9425
0.3872 0.8520 0.4425
0.6128 0.1480 0.5575
0.6128 0.3520 0.0575
0.1552 0.6385 0.9278
0.1552 0.8615 0.4278
0.2448 0.0452 0.1251
0.2448 0.4548 0.6251
0.2703 0.0154 0.7701
0.2703 0.4846 0.2701
0.4424 0.7137 0.7816
0.4424 0.7863 0.2816
0.4614 0.0617 0.3906
0.4614 0.4383 0.8906
0.4751 0.6492 0.5084
0.4751 0.8508 0.0084
0.5249 0.1492 0.9916
0.5249 0.3508 0.4916
0.5386 0.5617 0.1094
0.5386 0.9383 0.6094
0.5576 0.2137 0.7184
0.5576 0.2863 0.2184
0.7297 0.5154 0.7299
0.7297 0.9846 0.2299
0.7552 0.5452 0.3749
0.7552 0.9548 0.8749
0.8448 0.1385 0.5722
0.8448 0.3615 0.0722
```

The 8 most intense peaks (2θ = 10–90°), by angle:
- 2θ = 11.93°, d = 7.418 Å, intensity 100
- 2θ = 23.58°, d = 3.772 Å, intensity 90
- 2θ = 23.99°, d = 3.709 Å, intensity 53
- 2θ = 25.34°, d = 3.515 Å, intensity 35
- 2θ = 27.49°, d = 3.245 Å, intensity 33
- 2θ = 27.70°, d = 3.221 Å, intensity 89
- 2θ = 40.79°, d = 2.212 Å, intensity 20
- 2θ = 41.94°, d = 2.154 Å, intensity 33

~~~~~

Starting from a structure optimized by DFT (GGA-PBE), the XRD peak list of TbNbO4 was calculated for a wavelength of 1.5418 Å.

```
data_TbNbO4
_chemical_formula_sum 'Tb4 Nb4 O16'
_cell_length_a 7.6119
_cell_length_b 5.3865
_cell_length_c 7.6732
_cell_angle_alpha 90.00
_cell_angle_beta 98.43
_cell_angle_gamma 90.00
_space_group_name_H-M_alt 'P 1 21/c 1'
_space_group_IT_number 14
_space_group_name_Hall '-P 2ybc'
loop_
_atom_site_label
_atom_site_fract_x
_atom_site_fract_y
_atom_site_fract_z
Tb1 0.1454 0.2201 0.3912
Nb1 0.3351 0.7322 0.1887
O1 0.1097 0.5091 0.1718
O2 0.1720 0.0003 0.1200
O3 0.3278 0.6277 0.9379
O4 0.4339 0.1025 0.8107
```

Largest 8 diffraction maxima, sorted by position, 5° ≤ 2θ ≤ 70°:
h k l, 2theta, I_rel
0 1 2, 28.78, 86
2 1 0, 28.93, 100
1 1 -2, 29.80, 28
2 0 -2, 30.91, 18
0 2 0, 33.27, 26
2 2 -2, 46.04, 19
2 2 2, 49.81, 25
2 3 0, 56.77, 22

***

Starting from a structure optimized by DFT (GGA-PBE), the XRD peak list of NbTlTeO6 was calculated for a wavelength of 1.5418 Å.

```
data_NbTlTeO6
_chemical_formula_sum 'Nb4 Tl4 Te4 O24'
_cell_length_a 7.3275
_cell_length_b 10.3769
_cell_length_c 7.5404
_cell_angle_alpha 90.00
_cell_angle_beta 90.00
_cell_angle_gamma 90.00
_space_group_name_H-M_alt 'I m a 2'
_space_group_IT_number 46
_space_group_name_Hall 'I 2 -2a'
loop_
_atom_site_label
_atom_site_fract_x
_atom_site_fract_y
_atom_site_fract_z
Nb1 0.2500 0.2398 0.0000
Tl1 0.2500 0.6442 0.2031
Te1 0.0000 0.0000 0.2730
O1 0.0538 0.1227 0.0890
O2 0.0545 0.1228 0.4580
O3 0.2500 0.1830 0.7682
O4 0.2500 0.5728 0.7756
```

Largest 8 diffraction maxima, sorted by position, 5° ≤ 2θ ≤ 70°:
h k l, 2theta, I_rel
1 2 1, 24.10, 46
1 1 2, 27.97, 59
0 3 1, 28.41, 100
1 3 0, 28.54, 15
2 2 0, 29.85, 30
0 3 3, 44.57, 20
2 4 2, 49.37, 32
4 3 1, 58.31, 18

***

Starting from a structure optimized by DFT (GGA-PBE), the XRD peak list of Ti3NbO8 was calculated for a wavelength of 1.5418 Å.

```
data_Ti3NbO8
_chemical_formula_sum 'Ti3 Nb1 O8'
_cell_length_a 4.7281
_cell_length_b 2.9861
_cell_length_c 9.4589
_cell_angle_alpha 90.00
_cell_angle_beta 90.60
_cell_angle_gamma 90.00
_space_group_name_H-M_alt 'P 1 2/m 1'
_space_group_IT_number 10
_space_group_name_Hall '-P 2y'
loop_
_atom_site_label
_atom_site_fract_x
_atom_site_fract_y
_atom_site_fract_z
Ti1 0.0000 0.0000 0.0000
Ti2 0.4969 0.5000 0.7594
Nb1 0.0000 0.0000 0.5000
O1 0.1925 0.5000 0.9041
O2 0.2117 0.5000 0.3941
O3 0.3012 0.0000 0.6556
O4 0.3089 0.0000 0.1495
```

Largest 8 diffraction maxima, sorted by position, 5° ≤ 2θ ≤ 70°:
== Activity ==
Your job: search the entries above for the word "Cs" and reproduce each line that has it.
== Worked solution ==
Cs Np Mo O